Contents:
[1]
The following is a PBE calculation of Ce5ZnRu6 after structural relaxation, from the Alexandria database.

```
Ce5ZnRu6
1.0
4.101 -5.440 0.000
4.101 5.440 0.000
-2.599 0.000 5.737
Ce Zn Ru
5 1 6
Direct
0.000 0.000 0.000
0.175 0.825 0.500
0.345 0.655 0.000
0.655 0.345 0.000
0.825 0.175 0.500
0.500 0.500 0.500
0.068 0.361 0.329
0.291 0.291 0.734
0.361 0.068 0.329
0.639 0.932 0.671
0.709 0.709 0.266
0.932 0.639 0.671
```

## Properties
The symmetry is No. 12. The value obtained for the size of the total moment is 0.00 μB/f.u. The energy above the most stable polymorph in this dataset is 132 meV/atom. The crystal system is monoclinic.

---

[2]
The following is a PBE calculation of MgTlW2 after structural relaxation, from the Alexandria database.

```
MgTlW2
1.0

Wanted:
Now give back the lines further above from the one with "0.500 0.500" to the one with "---" without altering anything.

Here it is:
0.500 0.500 0.500
0.068 0.361 0.329
0.291 0.291 0.734
0.361 0.068 0.329
0.639 0.932 0.671
0.709 0.709 0.266
0.932 0.639 0.671
```

## Properties
The symmetry is No. 12. The value obtained for the size of the total moment is 0.00 μB/f.u. The energy above the most stable polymorph in this dataset is 132 meV/atom. The crystal system is monoclinic.

---